Home Video-cast Academy Alpha Audio Academy – Series 2 – Episode 4 – Monitor or floor stand?

Alpha Audio Academy – Series 2 – Episode 4 – Monitor or floor stand?

Alpha Audio Academy – Series 2 – Episode 4 – Monitor or floor stand?

Speakers is a much discussed component on Alpha Audio. The questions regarding this component vary enormously. From: which amplifier do we need, to what is better: a bookshelf or a floorstander. We have already answered a few questions in other episodes. Now we look at the main differences between floorstanders and monitor speakers (or bookshelfs).

Attached: data records:
=====
A plane-wave DFT calculation with PBE was carried out for ScZnBi2 after structural relaxation.

The structure in extended XYZ format:
```
4
Lattice="-3.514 0.201 2.170 -1.114 -3.156 2.427 2.071 2.025 7.106" Properties=species:S:1:pos:R:3 pbc="T T T"
Sc -1.278 -0.465 5.851
Zn 0.000 0.000 0.000
Bi -0.692 -0.276 2.845
Bi -1.865 -0.654 8.858
```

Theoretical density (g cm⁻³): 8.127
DOS(E_F) (states/eV/cell): 2.10
E_form (eV per formula unit): -0.3
DFT total energy (eV/f.u.): -15.69

~~~~~

No. 1
! InSbCl (GGA-PBEsol, optimized geometry); values from VASP
! excess energy over the best structure of this formula in the dataset	0.001	eV/atom
! space group	No. 107
! V	74.8	Å³ per cell
! electronic total energy	-3.385	eV/atom
! M_tot	0.0	μB/f.u.
&SYSTEM
  ibrav = 0, nat = 3, ntyp = 3
/
ATOMIC_SPECIES
In 114.82 In.upf
Sb 121.76 Sb.upf
Cl 35.45 Cl.upf
ATOMIC_POSITIONS crystal
In 0.000 0.000 0.000
Sb 0.669 0.669 0.000
Cl 0.373 0.373 0.000
CELL_PARAMETERS angstrom
-1.634 1.634 6.998
1.634 -1.634 6.998
1.634 1.634 -6.998

---

No. 2
! Sc2Br (GGA-PBEsol, optimized geometry); values from VASP
! excess energy over the best structure of this formula in the dataset	0.000	eV/atom
! space group	No. 164
! V	66.7	Å³ per cell
! electronic total energy	-5.740	eV/atom
! M_tot	0.0	μB/f.u.
&SYSTEM
  ibrav = 0, nat = 3, ntyp = 2
/
ATOMIC_SPECIES
Sc 44.96 Sc.upf
Br 79.90 Br.upf
ATOMIC_POSITIONS crystal
Sc 0.333 0.667 0.322
Sc 0.667 0.333 0.678
Br 0.000 0.000 0.000
CELL_PARAMETERS angstrom
3.439 0.000 0.000
-1.719 2.978 0.000
0.000 0.000 6.509

---

no.,E_form (uncorrected) (eV per atom)
1,-0.20
2,-0.71

~~~~~

Arrangement w

First-principles (GGA-PBE) data for a geometry-optimized Tm4TlTe structure, as listed in Alexandria.

The space group is P2_1/m (No. 11) and the conventional cell measures 6.091, 6.445 and 8.488 Å, with angles of 90.00, 92.46 and 90.00 degrees. The asymmetric unit holds Tm at (0.126, 0.250, 0.344), Tm at (0.154, 0.750, 0.039), Tm at (0.358, 0.002, 0.694), Tl at (0.192, 0.750, 0.389) and Te at (0.342, 0.250, 0.026).

Arrangement x

First-principles (GGA-PBE) data for a geometry-optimized Tm4TlTe structure, as listed in Alexandria.

The space group is Pnma (No. 62) and the conventional cell measures 7.292, 4.607 and 20.632 Å, with angles of 90.00, 90.00 and 90.00 degrees. The asymmetric unit holds Tm at (0.051, 0.250, 0.076), Tm at (0.067, 0.250, 0.359), Tm at (0.090, 0.250, 0.783), Tm at (0.139, 0.250, 0.528), Tl at (0.216, 0.250, 0.927) and Te at (0.201, 0.250, 0.215).

The data favor arrangement w; the next most stable structure lies 29 meV per atom above it.

Arrangement w

First-principles (GGA-PBE) data for a geometry-optimized Tm3TlTe structure, as listed in Alexandria.
=====

Many enthusiasts have to deal with limited space, roommates, budget and of course acoustic challenges. For this reason, compromises often have to be made. The question then becomes: how can you still achieve a good result with relatively limited resources?

Someone pasted crystal structures at this point:
/*
# SrTiTe2I

A relaxed SrTiTe2I crystal (GGA-PBE, Alexandria).

a = 5.475 Å, b = 5.475 Å, c = 5.643 Å
α = 90.00°, β = 90.00°, γ = 90.00°
Space group P4/mmm (No. 123)
Asymmetric unit:
1 Sr 0.000 0.000 0.000
2 Ti 0.500 0.500 0.500
3 Te 0.000 0.500 0.500
4 I 0.500 0.500 0.000

Output
Excess energy over the best structure of this formula in the dataset   0.0 meV per atom
Total moment   0.201 μB per atom
VASP energy   -21.4 eV/cell
D(E_F)   2.99 states/eV/cell
Formation energy from raw total energies   -0.81 eV per atom



# ZnTcP2

A relaxed ZnTcP2 crystal (GGA-PBE, Alexandria).

a = 3.1247 Å, b = 3.1247 Å, c = 21.3432 Å
α = 90.00°, β = 90.00°, γ = 120.00°
Space group R-3m (No. 166, hexagonal axes)
Asymmetric unit:
1 Zn 0.0000 0.0000 0.0000
2 Tc 0.0000 0.0000 0.5000
3 P 0.0000 0.0000 0.2439

Output
Total moment   0.000 μB per atom
VASP energy   -68.8 eV/cell
Energy relative to the elements   -0.121 eV per atom
D(E_F)   7.03 states/eV/cell

* * * * *

Entry 1:
4
Lattice="0.000 3.446 3.446 3.446 0.000 3.446 3.446 3.446 0.000" Properties=species:S:1:pos:R:3 comment="Hf2AlIn PBE-GGA relaxed" e_tot_ev_per_cell=-26.581 space_group="Fm-3m (225)" dos_ef_per_ev_cell=6.23 magnetic_moment_mub_per_fu=0.0 pbc="T T T"
Hf 1.723 1.723 1.723
Hf 5.169 5.169 5.169
Al 0.000 0.000 0.000
In 3.446 3.446 3.446



Entry 2:
4
Lattice="4.014 0.000 0.000 2.007 3.476 0.000 2.007 1.159 9.783" Properties=species:S:1:pos:R:3 comment="Ce2CdOs PBE-GGA relaxed" e_tot_ev_per_cell=-23.487 space_group="R-3m (166)" dos_ef_per_ev_cell=11.89 magnetic_moment_mub_per_fu=1.2 pbc="T T T"
Os 4.014 2.317 4.892
Ce 2.007 1.159 6.379
Ce 6.021 3.476 3.404
Cd 0.000 0.000 0.000



Entry 3:
8
Lattice="-1.393 -3.252 1.005 1.180 0.557 3.439 -16.808 8.552 4.381" Properties=species:S:1:pos:R:3 comment="La3Y4Cd PBE-GGA relaxed" e_tot_ev_per_cell=-42.079 space_group="P4/mmm (123)" dos_ef_per_ev_cell=13.22 magnetic_moment_mub_per_fu=0.0 pbc="T T T"
Y -15.100 7.683 3.936
Y -1.708 0.869 0.445
Y -6.174 3.141 1.609
Y -10.634 5.411 2.772
Cd -0.106 -1.348 2.222
La -4.038 0.653 3.247
La -8.510 2.928 4.413
La -12.983 5.204 5.579



Entry 4:
5
Lattice="-3.822 2.316 -1.257 -2.003 -4.224 -1.691 -1.855 -0.794 4.180" Properties=species:S:1:pos:R:3 comment="VSnSbMo2 PBE-GGA relaxed" e_tot_ev_per_cell=-33.465 space_group="P4/mmm (123)" e_form_raw_ev_per_atom=1.088 dos_ef_per_ev_cell=4.92 magnetic_moment_mub_per_fu=0.0 pbc="T T T"
Sb -3.840 -1.351 0.616
Mo -0.928 -0.397 2.090
Mo -1.911 1.158 -0.628
Sn -1.002 -2.112 -0.846
V 0.000 0.000 0.000



Entry 5:
10
Lattice="9.299 0.000 0.000 0.000 9.299 0.000 0.000 0.000 4.653" Properties=species:S:1:pos:R:3 comment="Cs2BrO2 PBE-GGA relaxed" e_tot_ev_per_cell=-37.879 space_group="P4/mbm (127)" e_form_raw_ev_per_atom=-1.129 dos_ef_per_ev_cell=0.00 magnetic_moment_mub_per_fu=1.0 pbc="T T T"
Cs 3.194 7.844 0.000
Cs 7.844 6.104 0.000
Cs 6.104 1.455 0.000
Cs 1.455 3.194 0.000
O 8.817 4.168 2.327
O 4.168 0.481 2.327
O 0.481 5.131 2.327
O 5.131 8.817 2.327
Br 0.000 0.000 0.000
*/
Here the entry continues:

Fortunately, manufacturers have taken this into account as well. In almost every line-up you can find various models. From bookshelfs / monitors to large floorstanders. In most cases it is a 2-way bookshelf and a 3-way floorstander. With the larger brands, both flavors come in various sizes: from smaller to substantial.

The rule of thumb is that a larger speaker mainly offers extra bass and foundation. A compact monitor speaker simply cannot go very deep, unless the manufacturer has pulled off all kinds of spectacular tricks. There are examples to be mentioned, but we will go into that in another episode (with the active speakers).

Assume, however, that with a bookshelf it really ends around 40 to 45 Hz. Are you looking for more depth in your music (pun intended), then there are two options: an additional subwoofer or a floorstander.

Watch and listen to this episode (Dutch)

(Between two parts of the piece: records of crystals)
____________
# La2ZnHg2

A relaxed structure of La2ZnHg2 (PBE, Alexandria).

Energy of formation in meV per atom: -346
M_tot in μB per formula unit: 0.00
Polymorph energy (0 for the lowest one) in meV/atom: 3

Cell and atoms, written as CIF:
```
data_La2ZnHg2
_cell_length_a 7.6521
_cell_length_b 7.6521
_cell_length_c 4.7761
_cell_angle_alpha 90.00
_cell_angle_beta 90.00
_cell_angle_gamma 90.00
_space_group_name_H-M_alt 'P 4/m b m'
_space_group_IT_number 127
_space_group_name_Hall '-P 4 2ab'
loop_
_atom_site_label
_atom_site_type_symbol
_atom_site_fract_x
_atom_site_fract_y
_atom_site_fract_z
La1 La 0.1621 0.3379 0.0000
Zn1 Zn 0.0000 0.0000 0.5000
Hg1 Hg 0.1419 0.6419 0.5000
```

=====

# Tb6Pr2Sm3Y

A relaxed structure of Tb6Pr2Sm3Y (PBE, Alexandria).

Energy of formation in meV per atom: 13
M_tot in μB per formula unit: 0.00

Cell and atoms, written as CIF:
```
data_Tb6Pr2Sm3Y
_cell_length_a 6.2497
_cell_length_b 10.8187
_cell_length_c 11.9338
_cell_angle_alpha 90.00
_cell_angle_beta 100.02
_cell_angle_gamma 90.00
_space_group_name_H-M_alt 'C 1 2/m 1'
_space_group_IT_number 12
loop_
_space_group_symop_operation_xyz
'x,y,z'
'-x,-y,-z'
'-x,y,-z'
'x,-y,z'
'x+1/2,y+1/2,z'
'-x+1/2,-y+1/2,-z'
'-x+1/2,y+1/2,-z'
'x+1/2,-y+1/2,z'
loop_
_atom_site_label
_atom_site_type_symbol
_atom_site_fract_x
_atom_site_fract_y
_atom_site_fract_z
Tb1 Tb 0.2490 0.0000 0.2484
Tb2 Tb 0.2504 0.1665 0.7512
Pr1 Pr 0.0000 0.3335 0.5000
Sm1 Sm 0.0000 0.1667 0.0000
Sm2 Sm 0.0000 0.5000 0.0000
Y1 Y 0.0000 0.0000 0.5000
```

=====

# Pm8NiIr5

A relaxed structure of Pm8NiIr5 (PBE, Alexandria).

Energy of formation in meV per atom: -579
M_tot in μB per formula unit: 0.00

Cell and atoms, written as CIF:
```
data_Pm8NiIr5
_cell_length_a 8.7992
_cell_length_b 8.7992
_cell_length_c 8.8361
_cell_angle_alpha 90.00
_cell_angle_beta 90.00
_cell_angle_gamma 90.00
_space_group_name_H-M_alt 'I -4'
_space_group_IT_number 82
loop_
_space_group_symop_operation_xyz
'x,y,z'
'y,-x,-z'
'-x,-y,z'
'-y,x,-z'
'x+1/2,y+1/2,z+1/2'
'y+1/2,-x+1/2,-z+1/2'
'-x+1/2,-y+1/2,z+1/2'
'-y+1/2,x+1/2,-z+1/2'
loop_
_atom_site_label
_atom_site_type_symbol
_atom_site_fract_x
_atom_site_fract_y
_atom_site_fract_z
Pm1 Pm 0.0628 0.1875 0.1897
Pm2 Pm 0.0642 0.3115 0.5666
Ni1 Ni 0.0000 0.5000 0.2500
Ir1 Ir 0.0000 0.0000 0.5000
Ir2 Ir 0.1277 0.2487 0.8777
```

=====

# NdBe2Pd

A relaxed structure of NdBe2Pd (PBE, Alexandria).

Energy of formation in meV per atom: -351
M_tot in μB per formula unit: 0.00

Cell and atoms, written as CIF:
```
data_NdBe2Pd
_cell_length_a 3.9591
_cell_length_b 3.9591
_cell_length_c 15.1643
_cell_angle_alpha 90.00
_cell_angle_beta 90.00
_cell_angle_gamma 120.00
_space_group_name_H-M_alt 'R -3 m'
_space_group_IT_number 166
_space_group_name_Hall '-R 3 2"'
loop_
_atom_site_label
_atom_site_type_symbol
_atom_site_fract_x
_atom_site_fract_y
_atom_site_fract_z
Nd1 Nd 0.0000 0.0000 0.0000
Be1 Be 0.0000 0.0000 0.1920
Pd1 Pd 0.0000 0.0000 0.5000
```

=====

# SrCrPd

A relaxed structure of SrCrPd (PBE, Alexandria).
____________
(So much for the records of crystals)

Benefits bookshelf

Of course, if we are going to look purely technically, a three-way floorstander has enormous advantages for those looking for a fullrange system. A more compact two-way bookshelf cannot actually reach 20 Hz and will have more difficulty delivering pressure in the low range due to its compact size.

But… the world is not really black/white… so let’s apply some nuance.

One of the most important parts of a speaker is the cabinet. There is a reason why high-end producers put a lot of time and energy into treating the cabinets. Resonances from the cabinet actually add coloration. And sometimes that is the intention, but if the resonances take serious and unwanted forms, it is very audible. The smaller the enclosure, the easier it is to get it ‘resonance-free’.

Our philosophy is – partly because of this fact – that in the ‘cheaper’ class it is wiser to buy a two-way monitor than an equally priced floorstander. The monitor speaker will really sound cleaner and better than the floorstander… if neutrality is what you are looking for.

What is also striking is that the imaging and looseness of a two-way monitor is almost unmatchable. Partly because of the simpler design of the filter, often just a little less goes wrong than with a more complex three-way system. To achieve the same quality in a larger three-way system, you will have to invest more. As a bonus, you will probably get a slightly deeper bass with more impact.

To get more energy at lower frequencies in a bookshelf setup, it is of course possible to install a subwoofer. We also sometimes get the question, “Which is better: a floorstander or a set of bookshelfs with subwoofer?” This is difficult to answer, because it depends on numerous factors. Think about this: how are you going to filter the set-up? What kind of pre-amp is present? What subwoofer is being combined? Is room correction possible? Etc.

In a favorable case, the subwoofer fits perfectly and the crossover point is not audible. This is certainly possible… however, it is not easy to achieve. Measurement is required and a properly adjustable subwoofer or pre-amp with filters is a must. If you have these adjustment possibilities and the knowledge, then you can realize this. And then it really plays very well. If these settings are not available, the subwoofer will almost always be ‘audible’ in the system. By this we mean that you really hear when the subwoofer complements the bookshelfs: it is not one complete coherent sound image. And that, of course, is not what you’re looking for.

Benefits floorstander

A floorstander has of course also advantages. First of all it is possible to make a fullrange system. After all: the cabinet allows it and there are more speaker units installed, which makes it possible to move more air. Pure physics.

A second advantage is that a designer designs the speaker as a whole, so – if all goes well – the system just plays coherently from bass to treble. This is in contrast to bookshelfs with subwoofers that are not well tuned. In short: floorstanders continue where bookshelfs stop….

But also here it is not so black and white. There are also disadvantages to a floorstander. First of all, it is expensive to produce. We are talking about a larger cabinet, more units and a more complex filter. In short: with an equal budget, a bookshelf can contain better units, filter components and can be finished more nicely. It’s that simple.

Also, with a floorstander you will have to take into account the extra energy that such a speaker radiates into the room. This is not always a problem, but with challenging acoustics a larger floorstander does address the acoustic problems more.


At the end of the day there is something to be said for both a bookshelf and a floorstander. A bookshelf can play at a higher level at a similar price. However, limitations in the bass play a role. This can be solved with separate subwoofers, but integrating a subwoofer is not an easy job.

A floorstander can reproduce deeper and more powerful bass, but is more expensive to make. And that can – if budget is a factor – have consequences in terms of transparency and imaging. It’s up to you to decide where to place the balance… quality, budget, both or…. Carte blanche.

In the next episode: active or passive? Do you find these kinds of episodes and series interesting? You can support us on patreon.


  1. Hello guys, you do a fantastic job on comparisons, thanks for your efforts!! I would like to make a suggestion/favor if I may. For the ultimate low level resolution / fine micro detail test track consider using cut 5 (recipe of Love) on the The LA4’s 1977 “Going Home” record. During the intro there is a faint but clear triangle struck 3 separate times. I used to her it clear as a bell on my apogee ribbons but have since not been able to reproduce it any other speakers to any great degree. I can get around 50% of the way there with my custom salks which have a full size (12lb) heil driver on top. At any rate this would be a great way to see how much micro detail and resolution a speaker can produce.
